## Given
/*
The following is a theoretical powder X-ray diffraction pattern of K3V2MoO8. It was derived from a GGA+U-relaxed structure, using λ = 1.5418 Å (Cu Kα).
Lines closer than 0.1° are merged.

Largest 10 diffraction maxima, in order of rising 2θ, 10° ≤ 2θ ≤ 90°:
h k l  2theta  Rel. int.
0 0 1  11.67  36.0
1 0 1  21.06  36.1
0 1 2  29.41  83.0
1 1 0  30.50  100.0
2 0 2  42.88  48.7
1 2 2  53.52  27.6
3 0 0  54.20  17.2
1 1 4  57.94  20.6
2 2 0  63.47  18.5
3 1 2  71.47  11.6

a b c (Å): 5.8626 5.8626 7.5808
angles (deg): 90.00 90.00 120.00
Element x y z (fractional)
K: 0.0000 0.0000 0.0000
K: 0.3333 0.6667 0.6877
K: 0.6667 0.3333 0.3123
V: 0.3333 0.6667 0.2515
V: 0.6667 0.3333 0.7485
Mo: 0.0000 0.0000 0.5000
O: 0.1700 0.3400 0.3320
O: 0.1700 0.8300 0.3320
O: 0.3333 0.6667 0.0298
O: 0.3400 0.1700 0.6680
O: 0.6600 0.8300 0.3320
O: 0.6667 0.3333 0.9702
O: 0.8300 0.1700 0.6680
O: 0.8300 0.6600 0.6680

=====

Theoretical powder XRD pattern of Ce2MnN3F for Cu Kα X-rays, from a DFT-relaxed cell (GGA+U, the Materials Project).
Neutral-atom scattering factors, no anomalous dispersion.

Cell and atoms:
```
data_Ce2MnN3F
_cell_length_a 3.893
_cell_length_b 3.893
_cell_length_c 12.569
_cell_angle_alpha 90.00
_cell_angle_beta 90.00
_cell_angle_gamma 90.00
_symmetry_space_group_name_H-M 'I 4 m m'
_symmetry_Int_Tables_number 107
_symmetry_space_group_name_Hall 'I 4 -2'
loop_
_atom_site_label
_atom_site_type_symbol
_atom_site_fract_x
_atom_site_fract_y
_atom_site_fract_z
Ce1 Ce 0.000 0.000 0.000
Ce2 Ce 0.000 0.000 0.263
Mn1 Mn 0.000 0.000 0.615
N1 N 0.000 0.000 0.445
N2 N 0.000 0.500 0.141
F1 F 0.000 0.000 0.815
```

Top 8 peaks for 10 to 90 degrees two-theta, by angle:
Position (°2θ)  Rel. int.  hkl
23.93  47  1 0 1
28.40  22  0 0 4
31.37  100  1 0 3
32.53  91  1 1 0
42.82  39  1 0 5
43.72  44  1 1 4
46.67  43  2 0 0
57.31  37  2 1 3

***

Theoretical powder XRD pattern of K2Ce2Fe4O11 for Cu Kα X-rays, from a DFT-relaxed cell (GGA+U, the Materials Project).
Neutral-atom scattering factors, no anomalous dispersion.

Cell and atoms:
```
data_K2Ce2Fe4O11
_cell_length_a 7.912
_cell_length_b 15.760
_cell_length_c 3.899
_cell_angle_alpha 90.00
_cell_angle_beta 90.00
_cell_angle_gamma 90.00
_symmetry_space_group_name_H-M 'C m m m'
_symmetry_Int_Tables_number 65
_symmetry_space_group_name_Hall '-C 2 2'
loop_
_atom_site_label
_atom_site_type_symbol
_atom_site_fract_x
_atom_site_fract_y
_atom_site_fract_z
K1 K 0.250 0.250 0.000
Ce1 Ce 0.234 0.000 0.000
Fe1 Fe 0.000 0.127 0.500
Fe2 Fe 0.000 0.370 0.500
O1 O 0.000 0.000 0.500
O2 O 0.000 0.107 0.000
O3 O 0.000 0.250 0.500
O4 O 0.000 0.414 0.000
O5 O 0.238 0.406 0.500
```

Top 8 peaks for 10 to 90 degrees two-theta, by angle:
Position (°2θ)  Rel. int.  hkl
11.23  50  0 2 0
32.06  54  2 4 0
32.27  100  0 4 1
45.87  18  4 0 0
46.59  18  0 0 2
57.22  18  4 4 1
57.34  25  2 8 1
57.67  19  2 4 2

***

Theoretical powder XRD pattern of Na2CeFeO6 for Cu Kα X-rays, from a DFT-relaxed cell (GGA+U, the Materials Project).
Neutral-atom scattering factors, no anomalous dispersion.

Cell and atoms:
```
data_Na2CeFeO6
_cell_length_a 8.112
_cell_length_b 8.112
_cell_length_c 8.112
_cell_angle_alpha 90.00
_cell_angle_beta 90.00
_cell_angle_gamma 90.00
_symmetry_space_group_name_H-M 'F m -3 m'
_symmetry_Int_Tables_number 225
_symmetry_space_group_name_Hall '-F 4 2 3'
loop_
_atom_site_label
_atom_site_type_symbol
_atom_site_fract_x
_atom_site_fract_y
_atom_site_fract_z
Na1 Na 0.250 0.250 0.250
Ce1 Ce 0.000 0.000 0.000
Fe1 Fe 0.000 0.000 0.500
O1 O 0.000 0.000 0.269
```

Top 8 peaks for 10 to 90 degrees two-theta, by angle:
Position (°2θ)  Rel. int.  hkl
18.95  21  1 1 1
21.91  92  2 0 0
31.19  100  2 2 0
36.75  19  3 1 1
44.68  44  4 0 0
50.30  35  4 2 0
55.49  38  4 2 2
65.04  25  4 4 0

=====

Record 1
Diffraction record for LiTb2P2O8. The powder diffractogram is theoretical, not measured: it uses a DFT-relaxed cell (GGA-PBE, the Materials Project) and Cu Kα X-rays.
Neutral-atom scattering factors, no anomalous dispersion.
*/

## Job
It remains to copy everything further up character by character.

## Here it is
The following is a theoretical powder X-ray diffraction pattern of K3V2MoO8. It was derived from a GGA+U-relaxed structure, using λ = 1.5418 Å (Cu Kα).
Lines closer than 0.1° are merged.

Largest 10 diffraction maxima, in order of rising 2θ, 10° ≤ 2θ ≤ 90°:
h k l  2theta  Rel. int.
0 0 1  11.67  36.0
1 0 1  21.06  36.1
0 1 2  29.41  83.0
1 1 0  30.50  100.0
2 0 2  42.88  48.7
1 2 2  53.52  27.6
3 0 0  54.20  17.2
1 1 4  57.94  20.6
2 2 0  63.47  18.5
3 1 2  71.47  11.6

a b c (Å): 5.8626 5.8626 7.5808
angles (deg): 90.00 90.00 120.00
Element x y z (fractional)
K: 0.0000 0.0000 0.0000
K: 0.3333 0.6667 0.6877
K: 0.6667 0.3333 0.3123
V: 0.3333 0.6667 0.2515
V: 0.6667 0.3333 0.7485
Mo: 0.0000 0.0000 0.5000
O: 0.1700 0.3400 0.3320
O: 0.1700 0.8300 0.3320
O: 0.3333 0.6667 0.0298
O: 0.3400 0.1700 0.6680
O: 0.6600 0.8300 0.3320
O: 0.6667 0.3333 0.9702
O: 0.8300 0.1700 0.6680
O: 0.8300 0.6600 0.6680

=====

Theoretical powder XRD pattern of Ce2MnN3F for Cu Kα X-rays, from a DFT-relaxed cell (GGA+U, the Materials Project).
Neutral-atom scattering factors, no anomalous dispersion.

Cell and atoms:
```
data_Ce2MnN3F
_cell_length_a 3.893
_cell_length_b 3.893
_cell_length_c 12.569
_cell_angle_alpha 90.00
_cell_angle_beta 90.00
_cell_angle_gamma 90.00
_symmetry_space_group_name_H-M 'I 4 m m'
_symmetry_Int_Tables_number 107
_symmetry_space_group_name_Hall 'I 4 -2'
loop_
_atom_site_label
_atom_site_type_symbol
_atom_site_fract_x
_atom_site_fract_y
_atom_site_fract_z
Ce1 Ce 0.000 0.000 0.000
Ce2 Ce 0.000 0.000 0.263
Mn1 Mn 0.000 0.000 0.615
N1 N 0.000 0.000 0.445
N2 N 0.000 0.500 0.141
F1 F 0.000 0.000 0.815
```

Top 8 peaks for 10 to 90 degrees two-theta, by angle:
Position (°2θ)  Rel. int.  hkl
23.93  47  1 0 1
28.40  22  0 0 4
31.37  100  1 0 3
32.53  91  1 1 0
42.82  39  1 0 5
43.72  44  1 1 4
46.67  43  2 0 0
57.31  37  2 1 3

***

Theoretical powder XRD pattern of K2Ce2Fe4O11 for Cu Kα X-rays, from a DFT-relaxed cell (GGA+U, the Materials Project).
Neutral-atom scattering factors, no anomalous dispersion.

Cell and atoms:
```
data_K2Ce2Fe4O11
_cell_length_a 7.912
_cell_length_b 15.760
_cell_length_c 3.899
_cell_angle_alpha 90.00
_cell_angle_beta 90.00
_cell_angle_gamma 90.00
_symmetry_space_group_name_H-M 'C m m m'
_symmetry_Int_Tables_number 65
_symmetry_space_group_name_Hall '-C 2 2'
loop_
_atom_site_label
_atom_site_type_symbol
_atom_site_fract_x
_atom_site_fract_y
_atom_site_fract_z
K1 K 0.250 0.250 0.000
Ce1 Ce 0.234 0.000 0.000
Fe1 Fe 0.000 0.127 0.500
Fe2 Fe 0.000 0.370 0.500
O1 O 0.000 0.000 0.500
O2 O 0.000 0.107 0.000
O3 O 0.000 0.250 0.500
O4 O 0.000 0.414 0.000
O5 O 0.238 0.406 0.500
```

Top 8 peaks for 10 to 90 degrees two-theta, by angle:
Position (°2θ)  Rel. int.  hkl
11.23  50  0 2 0
32.06  54  2 4 0
32.27  100  0 4 1
45.87  18  4 0 0
46.59  18  0 0 2
57.22  18  4 4 1
57.34  25  2 8 1
57.67  19  2 4 2

***

Theoretical powder XRD pattern of Na2CeFeO6 for Cu Kα X-rays, from a DFT-relaxed cell (GGA+U, the Materials Project).
Neutral-atom scattering factors, no anomalous dispersion.

Cell and atoms:
```
data_Na2CeFeO6
_cell_length_a 8.112
_cell_length_b 8.112
_cell_length_c 8.112
_cell_angle_alpha 90.00
_cell_angle_beta 90.00
_cell_angle_gamma 90.00
_symmetry_space_group_name_H-M 'F m -3 m'
_symmetry_Int_Tables_number 225
_symmetry_space_group_name_Hall '-F 4 2 3'
loop_
_atom_site_label
_atom_site_type_symbol
_atom_site_fract_x
_atom_site_fract_y
_atom_site_fract_z
Na1 Na 0.250 0.250 0.250
Ce1 Ce 0.000 0.000 0.000
Fe1 Fe 0.000 0.000 0.500
O1 O 0.000 0.000 0.269
```

Top 8 peaks for 10 to 90 degrees two-theta, by angle:
Position (°2θ)  Rel. int.  hkl
18.95  21  1 1 1
21.91  92  2 0 0
31.19  100  2 2 0
36.75  19  3 1 1
44.68  44  4 0 0
50.30  35  4 2 0
55.49  38  4 2 2
65.04  25  4 4 0

=====

Record 1
Diffraction record for LiTb2P2O8. The powder diffractogram is theoretical, not measured: it uses a DFT-relaxed cell (GGA-PBE, the Materials Project) and Cu Kα X-rays.
Neutral-atom scattering factors, no anomalous dispersion.